Posts tagged Medicare (Dis) Advantage
What I've Been Doing Lately


     I haven’t written a blog lately because I’ve been too busy writing about another issue:  New York City’s decision to remove its nearly 300,000 retirees from Medicare and force us onto Aetna Medicare (Dis)Advantage.  This is one of the many ways Mayor Eric Adams is hoping to cut costs.  I’m amazed both by the effrontery of the move and by the lack of response to it, except among retirees.

     I worked for the City University of New York for 33 years.  Part of my, and every other city worker’s contract, was that we would go on Medicare when we were 65.  We all pay for Medicare from our Social Security payments (the amount is deducted before you receive the monthly Social Security checks –- a surprise to me and many others).  The city subsidized the drug benefits.  I remember a cartoon from years ago where a right-wing person was shouting, “Hands off my Medicare!”

     Medicare “Advantage” programs are commercial and designed to make money.  The city worked out some special provisions with Aetna, but in a lengthy two-hour Zoom session, Aetna failed to mention that it’s only in effect for five years.  After that, they can make whatever changes they want.  Also, the Aetna representative kept stressing that “If your doctors take Medicare, they’ll take us, because we pay the same amount.”  What he failed to mention is that Aetna requires a great deal more paperwork than Medicare, which many doctors don’t want to do.

     I’ve written every city official I could think of about this situation: Mayor Adams, Comptroller Brad Lander, my Council Member Shahana Hanif –- all to no avail.  I wrote the mayor, “You may think you can do what you want to us because we can’t strike, but we VOTE!”  I also wrote the New York Times.  They require that your letter be tied to a recent article and I pegged mine to one on how doctors suffer from Medicare Advantage programs.  Nothing happened.

     Time is of the essence here.  We have to decide what to do by June 30th.  The system changes on September 1st.   We recently got an email from the NYC Retirees Group, saying “Don’t panic, things may change.”  There’s a lawsuit in the works, etc.  One problem is that the mayor’s former workmates, the Police Union, voted in favor of this change, as did the Sanitation Workers.  All the rest of us: Fire Fighters, Hospital Workers, Teachers, and Professors, voted against it.

What comes next are data records, not part of the piece:
1.
# GGA-PBE KTlSe3, optimized geometry
data_KTlSe3
_chemical_formula_sum 'K1 Tl1 Se3'
_symmetry_space_group_name_H-M 'P m -3 m'
_symmetry_Int_Tables_number 221
_symmetry_space_group_name_Hall '-P 4 2 3'
_cell_length_a 5.976
_cell_length_b 5.976
_cell_length_c 5.976
_cell_angle_alpha 90.00
_cell_angle_beta 90.00
_cell_angle_gamma 90.00
loop_
_atom_site_label
_atom_site_type_symbol
_atom_site_fract_x
_atom_site_fract_y
_atom_site_fract_z
K1 K 0.000 0.000 0.000
Tl1 Tl 0.500 0.500 0.500
Se1 Se 0.000 0.000 0.500
# **DFT total energy**: -2.2942 eV per atom


2.
# GGA-PBE KTl2Se, optimized geometry
data_KTl2Se
_chemical_formula_sum 'K2 Tl4 Se2'
_symmetry_space_group_name_H-M 'C 1 m 1'
_symmetry_Int_Tables_number 8
_cell_length_a 11.276
_cell_length_b 4.129
_cell_length_c 6.503
_cell_angle_alpha 90.00
_cell_angle_beta 111.50
_cell_angle_gamma 90.00
loop_
_symmetry_equiv_pos_as_xyz
'x,y,z'
'x,-y,z'
'x+1/2,y+1/2,z'
'x+1/2,-y+1/2,z'
loop_
_atom_site_label
_atom_site_type_symbol
_atom_site_fract_x
_atom_site_fract_y
_atom_site_fract_z
K1 K 0.000 0.000 0.000
Tl1 Tl 0.042 0.500 0.512
Tl2 Tl 0.291 0.500 0.423
Se1 Se 0.246 0.000 0.757
# **DFT total energy**: -2.7158 eV per atom


Number 1: excess energy over the best structure of this formula in the dataset 986.9 meV/atom, formation energy (no corrections) 0.489 eV/atom. Number 2: excess energy over the best structure of this formula in the dataset 98.5 meV/atom, formation energy (no corrections) -0.387 eV/atom.

~~~~~

Entry 1:
The following is a PBE-GGA calculation of a relaxed structure of Sr2Mg2Be, from Alexandria via LeMat-Bulk.

POSCAR file:
```
Sr2Mg2Be
1.0
8.433 0.000 0.000
0.000 8.433 0.000
0.000 0.000 5.198
Sr Mg Be
4 4 2
Cartesian
1.402 2.815 0.000
2.815 7.031 0.000
5.618 1.402 0.000
7.031 5.618 0.000
1.130 5.347 2.599
3.086 1.130 2.599
5.347 7.302 2.599
7.302 3.086 2.599
0.000 0.000 0.000
4.216 4.216 0.000
```

Output
- Total moment: 0.000 μB/f.u.
- Energy relative to the lowest polymorph listed for this composition: 198.7 meV/atom
- Symmetry: No. 127
- Energy of formation from the pure elements: 555 meV/atom

---

Entry 2:
The following is a PBE-GGA calculation of a relaxed structure of SrMgBe2, from Alexandria via LeMat-Bulk.

POSCAR file:
```
SrMgBe2
1.0
-2.299 2.299 8.901
2.299 -2.299 8.901
2.299 2.299 -8.901
Sr Mg Be
2 2 4
Cartesian
2.299 1.149 2.225
0.000 1.149 6.676
2.299 -1.149 6.676
0.000 3.448 2.225
0.000 0.000 0.000
1.149 1.149 -4.451
1.149 -1.149 4.451
0.000 2.299 0.000
```

Output
- Total moment: 0.000 μB/f.u.
- Symmetry: No. 141
- Energy of formation from the pure elements: 499 meV/atom

---

Entry 3:
The following is a PBE-GGA calculation of a relaxed structure of SrMg2Be, from Alexandria via LeMat-Bulk.

POSCAR file:
```
SrMg2Be
1.0
4.528 0.000 0.000
0.000 4.528 0.000
0.000 0.000 5.041
Sr Mg Be
1 2 1
Cartesian
0.000 0.000 0.000
0.000 2.264 2.521
2.264 0.000 2.521
2.264 2.264 0.000
```

Output
- Total moment: 0.000 μB/f.u.
- Symmetry: No. 123
The data records stop here:

     Having consulted a lot with colleagues and retirees’ groups, I’ve pretty much decided to opt to stay on Medicare.  I’ll take out a Medigap policy for drugs with AARP.  Both my sister and some friends have that and like it.  But I sure hope there’s publicity about this issue and that things change before the middle of June.